requirements for nature Enrichment program
- Age 5-14
- Proficient with toileting, able to know when they need to go to the bathroom and communicate that
- Able to follow 2-3 step directions carefully
- Shows respect toward guides, peers, and nature
- Able to communicate needs effectively
- Ability to stay with guide and group
- Appropriate clothing and material for weather and time outdoors
Wild Oak Explorers is a nature-connection recreation program, not a school/preschool or childcare. "Forest School" is a part of our name to indicate
that our approach and values related to how we guide children's experiences of learning, growth, exploration, and discovery align with the F
**Families who are registered with a county school district as a home education program (Florida Statue 1002.41), registered as PEP students, or an umbrella school are welcome to apply. As a home education program, the parent/guardian is the educator of record and is able to make all educational decisions.**
schedule & Tuition
2024/2025 School Year
​Annual Tuition Fee​
4 Days $8000 yearly
2 Days $4000 yearly (FUNdamental pod or Farm)
​​​​​​​​​​​​At this time we have rolling enrollment.
Priority for enrollment will be given to students enrolling for full-time program.​
The tuition is prepaid and due by the first business day of each month. If you are utilizing the Step Up for Students UA or PEP scholarship, you will be required to reserve funds by the fifth of the month.
There are no deductions of the monthly tuition for sick days, vacations, holidays, power outages due to tornado/hurricane or other unforeseen circumstances beyond our control.
We maintain a very low teacher to student ratio 1-2:7
Enrollment is conditional for the first 4 weeks.
​2024/25 Session Dates
Class starts on August 1, 2024 and ends on May 22, 2025
We will run anywhere from 4-8 weeks on and a week off. I have found this to be vital for homeschool families. In my research, I have also seen several schools, Acton academies and other private schools, and even universities using this model. The breaks allow for children and families to not feel overwhelmed and become burnt out.
First Day-August 1, 2024
Harvest Moon Walk-September 17, 2024
Fall Break - October 14-17, 2024
Veterans Day-November 11, 2024
Friendsgiving Feast-November 16, 2024
Thanksgiving Break - November 25-28, 2024
Winter Solstice Walk-December 15, 2024
Holiday break - December 20, 2024 - January 12, 2023
Return to Class-January 13,2025
Winter Break-February 10-13, 2025
Spring break - March 24-27, 2025
Wild Amelia-May 17, 2025
Last Day of Class-May 22, 2025

Enrollment Inquiry
If you feel that WOE may be right for your child and would like to apply, please complete the online application form. Once your application is received, you will receive a confirmation email within 2 weeks that will also include information about scheduling a tour. You will also receive the parent handbook, please read all of it to make sure you are positive this is the environment you are choosing for your child to blossom. Please note that this is not the current handbook as we are working on updating it. You’re invited to let your child play in our outdoor classroom, ask questions, and get to know more about what it’s like to enroll in an all outdoor program.
Someone pasted data records at this point.
=====
(1)
# C20H19CeOP

C20H19CeOP as an isolated structure in a non-equilibrium geometry (the ωB97M-V functional and the def2-TZVPD basis, OMol25).

Atoms and positions in Å:
Ce -1.0759 0.8552 -2.1410
C -0.2550 0.6243 -5.6849
H 0.8013 0.7919 -5.4538
H -0.4305 -0.4408 -5.8594
H -0.5141 1.1724 -6.5974
H -0.9064 0.9625 -4.8464
H -2.2465 0.6067 -3.4634
O -0.4000 -1.4735 -2.6815
C -0.4777 -1.2683 -1.4685
C -1.4780 -1.1476 -0.5065
C -2.7511 -1.8043 -0.5396
C -3.8238 -1.2489 0.1376
C -3.7895 0.0713 0.5816
C -2.6140 0.8366 0.4219
C -1.4008 0.1512 0.1857
P 0.2696 0.9416 0.1957
C 0.6487 1.6429 1.8112
C 2.0049 1.7457 2.1590
C 2.3519 2.0977 3.4575
C 1.3444 2.3893 4.3862
C 0.0022 2.3912 4.0026
C -0.3557 2.0403 2.7022
C 1.3388 -0.5385 0.1749
C 1.2629 -1.4888 1.1952
C 1.9501 -2.6997 1.0307
C 2.7433 -2.9040 -0.1092
C 2.9510 -1.8648 -1.0217
C 2.3030 -0.6448 -0.8376
H -2.8128 -2.7915 -0.9989
H -4.7188 -1.8606 0.3229
H -4.6663 0.5032 1.0724
H -2.5881 1.9259 0.5392
H 2.7725 1.4978 1.4232
H 3.4038 2.1196 3.7461
H 1.6198 2.6141 5.4131
H -0.7718 2.6457 4.7202
H -1.3975 2.0341 2.3808
H 0.6482 -1.2916 2.0771
H 1.8408 -3.4961 1.7755
H 3.1932 -3.8820 -0.2863
H 3.5798 -2.0209 -1.9016
H 2.4442 0.2053 -1.5148

Electronic energy (hartree): -1664.34397
Energy relative to the best compared isomer or geometry (same formula, charge and spin) (eV): 2.710
Lowest unoccupied orbital energy (spin up / spin down) (eV): -9.53 / -9.53
E_HOMO (spin up / spin down) (eV): -14.2 / -14.2
Net charge: +2

(2)
# C5H13NO2

A 2-piece molecular cluster, C5H13NO2 overall in a non-equilibrium geometry (the ωB97M-V functional and the def2-TZVPD basis, OMol25).

Atoms and positions in Å:
C -1.9999 -0.1563 -0.7732
C -1.4224 0.9905 0.0911
C -1.4179 2.3439 -0.5907
C 0.0763 0.7173 0.4500
N 0.3415 -0.5285 1.1721
C 1.5553 -1.0772 1.2316
O 2.5823 -0.5404 0.8695
H -2.8084 0.2621 -1.4094
H -1.4192 -0.7670 -1.4512
H -2.4456 -0.7678 0.0350
H -2.0301 1.1147 1.0440
H -1.3150 3.1668 0.1094
H -2.3645 2.4841 -1.1195
H -0.6451 2.6006 -1.3492
H 0.3567 1.5877 1.0767
H 0.7546 0.9616 -0.3962
H -0.5082 -1.0613 1.1440
H 1.5875 -2.0839 1.7341
O 0.7658 -1.6637 -1.6748
H 0.5606 -1.7099 -2.6151
H 0.0619 -1.0915 -1.3320

Electronic energy (hartree): -403.51724
Energy relative to the best compared isomer or geometry (same formula, charge and spin) (eV): 1.616
Lowest unoccupied orbital energy (eV): 0.65
SMILES: CC(C)CNC=O.O
E_HOMO (eV): -9.7

(3)
# C6H11IO3

A 2-piece molecular cluster, C6H11IO3 overall in a non-equilibrium geometry (the ωB97M-V functional and the def2-TZVPD basis, OMol25).

Atoms and positions in Å:
C 1.1720 -0.3162 0.2524
C 0.7803 -1.8111 0.4768
C 0.1131 0.2669 -0.6674
C -0.6606 -1.0715 -1.1065
C -0.0032 2.3795 0.0072
C -1.9978 -0.5196 1.2086
O -0.0601 -2.1111 -0.6258
O -1.5627 -1.1089 -1.9230
O -0.7052 1.2198 -0.1751
I -3.6325 0.0367 0.0635
H 1.2326 0.2387 1.3592
H 2.1175 -0.2376 -0.2512
H 1.6964 -2.4719 0.4609
H 0.2358 -1.8543 1.4746
H 0.5304 0.5414 -1.6048
H -0.7751 2.9762 0.3782
H 0.3313 2.8170 -1.0116
=====
Wild Oak Explorers will contact you within a week of your tour to answer any remaining questions and then either invite you to enroll or discuss any concerns that have arisen. If all spaces are full, you will receive an email to let you know that your child has been placed on a waiting list.
Once you receive the official enrollment form, it will need to be completed and returned to Wild Oak Explorers as soon as possible, along with the non-refundable $250 deposit. You will also be billed a $250 supply fee with a recurring $150 yearly supply fee.
Your child’s space in the class will be officially reserved as soon as this paperwork is turned in, and the deposit clears.
If you have any questions please email us at